**What to do**
Now write out the whole of the block below character by character.

**Given**
=====
1.
Starting from a structure optimized by DFT (GGA-PBE), the powder XRD pattern of Ce2VP3Ir4 was computed for Cu Kα X-rays.
Neutral-atom scattering factors, no anomalous dispersion.

Structural model:
a b c (Å): 4.0598 4.0598 10.1550
angles (deg): 90.00 90.00 90.00
Space group P-4m2 (No. 115)
Asymmetric unit:
Ce 0.0000 0.5000 0.2465 [2 per cell]
V 0.0000 0.0000 0.5000 [1 per cell]
P 0.0000 0.5000 0.8637 [2 per cell]
P 0.5000 0.5000 0.5000 [1 per cell]
Ir 0.0000 0.0000 0.0000 [1 per cell]
Ir 0.0000 0.5000 0.6317 [2 per cell]
Ir 0.5000 0.5000 0.0000 [1 per cell]

Top 10 peaks for 10° ≤ 2θ ≤ 80°, sorted by position:
h k l, two_theta, d [Å], intensity
0 0 3, 26.3, 3.385, 25
1 0 2, 28.1, 3.171, 33
1 1 1, 32.4, 2.762, 55
1 0 3, 34.5, 2.600, 55
1 1 2, 35.9, 2.499, 100
2 0 0, 44.6, 2.030, 68
1 1 4, 47.8, 1.902, 28
1 0 5, 50.2, 1.816, 27
2 1 3, 57.6, 1.600, 25
2 2 0, 65.0, 1.435, 28

---

2.
Starting from a structure optimized by DFT (GGA-PBE), the powder XRD pattern of PPd6Pb2 was computed for Cu Kα X-rays.
Neutral-atom scattering factors, no anomalous dispersion.

Structural model:
a b c (Å): 3.8354 7.2571 12.2658
angles (deg): 90.00 90.00 90.00
Space group Immm (No. 71)
Asymmetric unit:
P 0.0000 0.0000 0.0000 [2 per cell]
Pd 0.0000 0.2072 0.1630 [8 per cell]
Pd 0.0000 0.3071 0.5000 [4 per cell]
Pb 0.0000 0.0000 0.3547 [4 per cell]

Top 10 peaks for 10° ≤ 2θ ≤ 80°, sorted by position:
h k l, two_theta, d [Å], intensity
0 1 3, 25.0, 3.562, 27
1 1 0, 26.3, 3.391, 41
1 2 1, 34.8, 2.577, 11
0 3 1, 37.9, 2.373, 23
1 1 4, 39.6, 2.274, 27
1 2 3, 40.7, 2.215, 100
0 3 3, 43.5, 2.082, 13
0 0 6, 44.3, 2.045, 25
2 0 0, 47.4, 1.918, 22
2 0 6, 66.9, 1.399, 12

---

3.
Starting from a structure optimized by DFT (GGA-PBE), the powder XRD pattern of AgI4N2 was computed for Cu Kα X-rays.
Neutral-atom scattering factors, no anomalous dispersion.

Structural model:
a b c (Å): 4.8990 6.3429 9.0121
angles (deg): 108.86 102.11 91.83
Space group P-1 (No. 2)
Asymmetric unit:
Ag 0.0000 0.0000 0.0000 [1 per cell]
I 0.1318 0.7396 0.3255 [2 per cell]
I 0.4992 0.7325 0.8680 [2 per cell]
N 0.4907 0.3616 0.6993 [2 per cell]

Top 10 peaks for 10° ≤ 2θ ≤ 80°, sorted by position:
h k l, two_theta, d [Å], intensity
0 0 1, 10.7, 8.294, 33
0 1 -2, 21.6, 4.119, 100
1 1 -1, 23.3, 3.810, 17
1 0 1, 23.6, 3.768, 18
1 1 0, 25.2, 3.541, 21
-1 1 1, 25.3, 3.514, 49
0 2 0, 29.9, 2.984, 18
1 -2 1, 33.5, 2.673, 42
2 0 -1, 36.8, 2.444, 18
1 2 1, 42.9, 2.107, 19

---

4.
Starting from a structure optimized by DFT (GGA-PBE), the powder XRD pattern of ScB2 was computed for Cu Kα X-rays.
Neutral-atom scattering factors, no anomalous dispersion.

Structural model:
a b c (Å): 3.1428 3.1428 3.5294
angles (deg): 90.00 90.00 120.00
Space group P6/mmm (No. 191)
Asymmetric unit:
Sc 0.0000 0.0000 0.0000 [1 per cell]
B 0.3333 0.6667 0.5000 [2 per cell]

Top 9 peaks for 10° ≤ 2θ ≤ 80°, sorted by position:
h k l, two_theta, d [Å], intensity
0 0 1, 25.2, 3.529, 18
1 0 0, 32.9, 2.722, 50
1 0 1, 41.9, 2.155, 100
0 0 2, 51.8, 1.765, 11
1 1 0, 58.8, 1.571, 21
1 0 2, 62.8, 1.481, 14
1 1 1, 65.0, 1.436, 8
2 0 0, 69.0, 1.361, 5
2 0 1, 74.8, 1.270, 15

---

- Number 1 is which compound?
  Ce2VP3Ir4

* * * * *

Mg6Si5: simulated powder diffractogram (Cu Kα (weighted mean of Kα1 and Kα2)), based on DFT lattice parameters and positions (PBE).
Kinematic intensities with the Lorentz-polarization factor, no thermal factor.

Principal peaks in the range 15 to 90 degrees two-theta, in order of falling intensity:
2.301 Å, rel. 100.0, (1 0 6)
2.556 Å, rel. 95.3, (1 1 5)
1.958 Å, rel. 90.6, (2 0 1)
2.389 Å, rel. 72.2, (1 2 4)
2.544 Å, rel. 57.5, (1 2 0)
2.537 Å, rel. 57.3, (1 -2 1)

Cell and atoms:
```
data_Mg6Si5
_chemical_formula_sum 'Mg12 Si10'
_cell_length_a 3.917
_cell_length_b 6.985
_cell_length_c 16.058
_cell_angle_alpha 78.98
_cell_angle_beta 83.09
_cell_angle_gamma 89.87
_space_group_name_H-M_alt 'P 1'
_space_group_IT_number 1
loop_
_space_group_symop_operation_xyz
'x,y,z'
loop_
_atom_site_label
=====

**Here it is**
1.
Starting from a structure optimized by DFT (GGA-PBE), the powder XRD pattern of Ce2VP3Ir4 was computed for Cu Kα X-rays.
Neutral-atom scattering factors, no anomalous dispersion.

Structural model:
a b c (Å): 4.0598 4.0598 10.1550
angles (deg): 90.00 90.00 90.00
Space group P-4m2 (No. 115)
Asymmetric unit:
Ce 0.0000 0.5000 0.2465 [2 per cell]
V 0.0000 0.0000 0.5000 [1 per cell]
P 0.0000 0.5000 0.8637 [2 per cell]
P 0.5000 0.5000 0.5000 [1 per cell]
Ir 0.0000 0.0000 0.0000 [1 per cell]
Ir 0.0000 0.5000 0.6317 [2 per cell]
Ir 0.5000 0.5000 0.0000 [1 per cell]

Top 10 peaks for 10° ≤ 2θ ≤ 80°, sorted by position:
h k l, two_theta, d [Å], intensity
0 0 3, 26.3, 3.385, 25
1 0 2, 28.1, 3.171, 33
1 1 1, 32.4, 2.762, 55
1 0 3, 34.5, 2.600, 55
1 1 2, 35.9, 2.499, 100
2 0 0, 44.6, 2.030, 68
1 1 4, 47.8, 1.902, 28
1 0 5, 50.2, 1.816, 27
2 1 3, 57.6, 1.600, 25
2 2 0, 65.0, 1.435, 28

---

2.
Starting from a structure optimized by DFT (GGA-PBE), the powder XRD pattern of PPd6Pb2 was computed for Cu Kα X-rays.
Neutral-atom scattering factors, no anomalous dispersion.

Structural model:
a b c (Å): 3.8354 7.2571 12.2658
angles (deg): 90.00 90.00 90.00
Space group Immm (No. 71)
Asymmetric unit:
P 0.0000 0.0000 0.0000 [2 per cell]
Pd 0.0000 0.2072 0.1630 [8 per cell]
Pd 0.0000 0.3071 0.5000 [4 per cell]
Pb 0.0000 0.0000 0.3547 [4 per cell]

Top 10 peaks for 10° ≤ 2θ ≤ 80°, sorted by position:
h k l, two_theta, d [Å], intensity
0 1 3, 25.0, 3.562, 27
1 1 0, 26.3, 3.391, 41
1 2 1, 34.8, 2.577, 11
0 3 1, 37.9, 2.373, 23
1 1 4, 39.6, 2.274, 27
1 2 3, 40.7, 2.215, 100
0 3 3, 43.5, 2.082, 13
0 0 6, 44.3, 2.045, 25
2 0 0, 47.4, 1.918, 22
2 0 6, 66.9, 1.399, 12

---

3.
Starting from a structure optimized by DFT (GGA-PBE), the powder XRD pattern of AgI4N2 was computed for Cu Kα X-rays.
Neutral-atom scattering factors, no anomalous dispersion.

Structural model:
a b c (Å): 4.8990 6.3429 9.0121
angles (deg): 108.86 102.11 91.83
Space group P-1 (No. 2)
Asymmetric unit:
Ag 0.0000 0.0000 0.0000 [1 per cell]
I 0.1318 0.7396 0.3255 [2 per cell]
I 0.4992 0.7325 0.8680 [2 per cell]
N 0.4907 0.3616 0.6993 [2 per cell]

Top 10 peaks for 10° ≤ 2θ ≤ 80°, sorted by position:
h k l, two_theta, d [Å], intensity
0 0 1, 10.7, 8.294, 33
0 1 -2, 21.6, 4.119, 100
1 1 -1, 23.3, 3.810, 17
1 0 1, 23.6, 3.768, 18
1 1 0, 25.2, 3.541, 21
-1 1 1, 25.3, 3.514, 49
0 2 0, 29.9, 2.984, 18
1 -2 1, 33.5, 2.673, 42
2 0 -1, 36.8, 2.444, 18
1 2 1, 42.9, 2.107, 19

---

4.
Starting from a structure optimized by DFT (GGA-PBE), the powder XRD pattern of ScB2 was computed for Cu Kα X-rays.
Neutral-atom scattering factors, no anomalous dispersion.

Structural model:
a b c (Å): 3.1428 3.1428 3.5294
angles (deg): 90.00 90.00 120.00
Space group P6/mmm (No. 191)
Asymmetric unit:
Sc 0.0000 0.0000 0.0000 [1 per cell]
B 0.3333 0.6667 0.5000 [2 per cell]

Top 9 peaks for 10° ≤ 2θ ≤ 80°, sorted by position:
h k l, two_theta, d [Å], intensity
0 0 1, 25.2, 3.529, 18
1 0 0, 32.9, 2.722, 50
1 0 1, 41.9, 2.155, 100
0 0 2, 51.8, 1.765, 11
1 1 0, 58.8, 1.571, 21
1 0 2, 62.8, 1.481, 14
1 1 1, 65.0, 1.436, 8
2 0 0, 69.0, 1.361, 5
2 0 1, 74.8, 1.270, 15

---

- Number 1 is which compound?
  Ce2VP3Ir4

* * * * *

Mg6Si5: simulated powder diffractogram (Cu Kα (weighted mean of Kα1 and Kα2)), based on DFT lattice parameters and positions (PBE).
Kinematic intensities with the Lorentz-polarization factor, no thermal factor.

Principal peaks in the range 15 to 90 degrees two-theta, in order of falling intensity:
2.301 Å, rel. 100.0, (1 0 6)
2.556 Å, rel. 95.3, (1 1 5)
1.958 Å, rel. 90.6, (2 0 1)
2.389 Å, rel. 72.2, (1 2 4)
2.544 Å, rel. 57.5, (1 2 0)
2.537 Å, rel. 57.3, (1 -2 1)

Cell and atoms:
```
data_Mg6Si5
_chemical_formula_sum 'Mg12 Si10'
_cell_length_a 3.917
_cell_length_b 6.985
_cell_length_c 16.058
_cell_angle_alpha 78.98
_cell_angle_beta 83.09
_cell_angle_gamma 89.87
_space_group_name_H-M_alt 'P 1'
_space_group_IT_number 1
loop_
_space_group_symop_operation_xyz
'x,y,z'
loop_
_atom_site_label